Quedius mesomelinus (Marsham, 1802)
POLYPHAGA Emery, 1886
STAPHYLINOIDEA Latreille, 1802
STAPHYLININI Latreille, 1802
Microsaurus Dejean, 1833
Native to the Palaearctic region and probably Holarctic, having been proven to occur in North America since the early 17th century, this species is now almost cosmopolitan following introductions to Australia, New Zealand and South America and many other areas including Greenland, it is generally common throughout Europe north to the UK and far above the Arctic Circle in Fennoscandia, Faroe and Iceland, it is known from North Africa and extends east through Asia Minor and Siberia to the far east of Russia. In Europe it occurs from lowlands to the Alpine regions while across Asia it is more or less boreo-montane, being restricted to mountain areas in the south while occurring more generally further north. Here it is generally common across Southern and Central England and Wales and more local and scarce in the West Country, further north to the Scottish Highlands and in Northern Ireland. The species occurs in a wide range of habitats; it is mostly subterranean and often associated with mammal nests but also occurs among decaying wood in tree hollows and under bark, it often occurs in sheds, barns and cellars, across Europe is among the most common rove beetles in caves and disused mines and may be common on disturbed land including domestic gardens. Adults occur year-round; they overwinter in a variety of habitats although are seldom recorded at this time, they are active over a long season from March until November and peak in abundance from May until July and again in the autumn. Both adults and larvae are predacious and might be expected in any habitat with a good supply of fly larvae etc., e.g. decaying fungi and compost. Breeding is thought to occur in spring and early summer as a pupa has been found in a Badger set in August (Lott, 2011). Adults are mostly nocturnal, they may be found by searching under logs and debris on damp grassland and woodland by day or by sieving compost etc. at any time, on warm nights they often run in the open on pathways and logs and frequently climb trunks in open woodland and parkland. So far as is known all specimens are fully-winged, they fly well and occasionally come to light.
Quedius mesomelinus 1 |
[Here the page breaks off for data records]
-- begin --
A relaxed structure of CeMgGa2Au5. Source: Alexandria via LeMat-Bulk, functional PBE.

Summary:
space group	P4/mmm
energy of formation from the pure elements	-0.3416	eV/atom
final energy	-33.043	eV/cell

a b c (Å): 4.8847 4.8847 7.9419
angles (deg): 90.00 90.00 90.00
Atoms (fractional coordinates):
Ce  0.0000  0.0000  0.0000
Mg  0.0000  0.0000  0.5000
Ga  0.5000  0.5000  0.3450
Ga  0.5000  0.5000  0.6550
Au  0.0000  0.5000  0.2455
Au  0.0000  0.5000  0.7545
Au  0.5000  0.0000  0.2455
Au  0.5000  0.0000  0.7545
Au  0.5000  0.5000  0.0000

A relaxed structure of CeMgGa2Au4. Source: Alexandria via LeMat-Bulk, functional PBE.

Summary:
space group	R-3m
energy of formation from the pure elements	-0.5042	eV/atom
final energy	-30.725	eV/cell

a b c (Å): 9.1256 9.1256 9.1256
angles (deg): 28.98 28.98 28.98
Atoms (fractional coordinates):
Ce  0.0000  0.0000  0.0000
Mg  0.5000  0.5000  0.5000
Ga  0.2463  0.2463  0.2463
Ga  0.7537  0.7537  0.7537
Au  0.1329  0.1329  0.1329
Au  0.3938  0.3938  0.3938
Au  0.6062  0.6062  0.6062
Au  0.8671  0.8671  0.8671

Please write out number 1 again, unchanged.
A relaxed structure of CeMgGa2Au5. Source: Alexandria via LeMat-Bulk, functional PBE.

Summary:
space group	P4/mmm
energy of formation from the pure elements	-0.3416	eV/atom
final energy	-33.043	eV/cell

a b c (Å): 4.8847 4.8847 7.9419
angles (deg): 90.00 90.00 90.00
Atoms (fractional coordinates):
Ce  0.0000  0.0000  0.0000
Mg  0.0000  0.0000  0.5000
Ga  0.5000  0.5000  0.3450
Ga  0.5000  0.5000  0.6550
Au  0.0000  0.5000  0.2455
Au  0.0000  0.5000  0.7545
Au  0.5000  0.0000  0.2455
Au  0.5000  0.0000  0.7545
Au  0.5000  0.5000  0.0000

Copy entry 2 word for word.
A relaxed structure of CeMgGa2Au4. Source: Alexandria via LeMat-Bulk, functional PBE.

Summary:
space group	R-3m
energy of formation from the pure elements	-0.5042	eV/atom
final energy	-30.725	eV/cell

a b c (Å): 9.1256 9.1256 9.1256
angles (deg): 28.98 28.98 28.98
Atoms (fractional coordinates):
Ce  0.0000  0.0000  0.0000
Mg  0.5000  0.5000  0.5000
Ga  0.2463  0.2463  0.2463
Ga  0.7537  0.7537  0.7537
Au  0.1329  0.1329  0.1329
Au  0.3938  0.3938  0.3938
Au  0.6062  0.6062  0.6062
Au  0.8671  0.8671  0.8671

> Among the records above, which one has the lowest final energy?

CeMgGa2Au5

> final energy of number 1 (CeMgGa2Au5)?

-33.043 eV/cell
-- stop --
Quedius mesomelinus 2 |
7-11 mm. Elongate with a small head and almost parallel-sided abdomen, head black with the labrum and mandibles paler, pronotum and scutellum black or dark brown, elytra dark brown, usually paler along the suture and apical margins and often with a faint metallic reflection, abdomen dark brown, often paler towards the apical margin of the tergites, legs reddish with the femora and tibiae to some extent darker. Maxillary palps dark brown or with the terminal segment darker, antennae reddish-brown with three basal segments darker. Head quadrate with large protruding mandibles, lateral margin evenly curved to a short neck, the eyes following the contour and more-or-less as long as the temples, surface smoothly convex, with two large setiferous punctures near each eye and several towards the base, otherwise with micropunctures scattered among fine linear microsculpture. Antennae with three basal segments elongate, 4 and 5 quadrate or slightly elongate and 6 to 10 slightly transverse. Pronotum transverse, broadest near rounded posterior angles and narrowed to a rounded anterior margin, surface with fine linear microsculpture, a series of three setiferous punctures either side in the anterior half and several others near the basal and lateral margins. Scutellum large, triangular and with scattered fine punctures, usually entirely black but often paler along the lateral margins. Elytra quadrate, slightly dilated from sloping shoulders to separately rounded apical margins and randomly punctured throughout and with fine overlapping pubescence. Abdomen strongly bordered laterally, tergites not or only vaguely impressed across the base, finely punctured and pubescent throughout and without microsculpture, apical tergites sometimes finely wrinkled or slightly iridescent. All tibiae with two large spurs, front tarsi more strongly dilated in males. Median lobe of aedeagus dilated from the middle and evenly rounded to a widely obtuse apex (in ventral aspect), in lateral aspect almost straight to a distinct angle about 2/3 from the base, then very uneven to the apex.
Very similar to Q. maurus (Sahlberg, 1830), but here the median lobe is obtusely angled towards the apex (in ventral aspect) and in lateral aspect externally more-or-less evenly curved from base to apex and almost straight internally.